Assignment:
Type out all of the data further below with every line break kept.

Material:
Computed, not measured: a molecular structure, C24H24Br30FN2O2, with the ωB97M-V functional and the def2-TZVPD basis.

Each line ends with the Löwdin charge.
CARTESIAN COORDINATES (ANGSTROEM)
C  4.856  1.907  -0.535  -0.066
C  3.878  0.723  0.013  -0.219
N  3.091  1.265  1.161  0.049
C  1.733  1.448  0.889  -0.146
C  1.151  2.806  1.140  0.112
C  -0.286  3.087  0.927  0.022
C  -0.848  4.511  1.209  -0.416
O  -1.452  4.762  2.249  -0.018
O  -0.682  5.568  0.212  -0.270
C  -1.133  1.950  0.434  -0.057
C  -2.640  2.190  0.238  -0.296
C  -3.540  1.864  1.407  -0.238
C  -5.059  2.046  1.405  -0.214
C  -5.697  2.567  0.157  -0.151
C  -4.812  2.890  -0.987  -0.153
C  -3.292  2.697  -0.974  -0.022
C  -0.495  0.669  0.184  0.108
N  0.874  0.482  0.414  0.018
F  1.341  -0.760  0.173  0.038
H  5.915  1.627  -0.258  0.066
H  4.650  2.898  -0.052  0.071
H  4.835  1.967  -1.677  0.036
H  4.583  -0.088  0.369  0.101
H  3.257  0.249  -0.807  0.058
H  3.505  2.104  1.566  0.129
H  1.779  3.644  1.531  0.139
H  0.273  5.605  -0.018  0.131
H  -3.073  1.496  2.363  0.130
H  -5.605  1.791  2.353  0.124
H  -6.807  2.692  0.159  0.103
H  -5.344  3.302  -1.914  -0.077
H  -2.677  2.970  -1.866  0.119
H  -1.115  -0.186  -0.201  0.079
C  -7.189  5.173  -4.100  -1.558
Br  -7.002  4.318  -2.370  0.731
Br  -6.098  6.763  -4.238  0.597
Br  -6.844  3.933  -5.541  0.553
H  -8.224  5.488  -4.190  -0.021
C  1.404  -4.165  -1.078  -1.603
Br  3.144  -4.926  -1.445  0.574
Br  0.027  -4.944  -2.192  0.582
Br  0.955  -4.273  0.801  0.506
H  1.459  -3.111  -1.333  -0.049
C  4.950  0.304  -5.059  -1.612
Br  3.729  0.067  -3.573  0.592
Br  4.183  -0.314  -6.721  0.595
Br  5.574  2.130  -5.186  0.580
H  5.818  -0.316  -4.858  -0.024
C  -0.088  -7.836  3.117  -1.570
Br  -1.441  -6.896  2.101  0.553
Br  1.540  -8.076  2.095  0.522
Br  0.248  -6.989  4.829  0.526
H  -0.481  -8.826  3.326  -0.023
C  -4.289  -1.190  -1.213  -1.466
Br  -4.671  -2.942  -0.479  0.577
Br  -4.385  0.224  0.153  0.976
Br  -2.594  -1.163  -2.161  0.594
H  -5.064  -0.980  -1.948  -0.039
C  -1.164  8.647  2.329  -1.534
Br  -1.622  6.990  1.411  0.983
Br  -1.270  10.183  1.151  0.552
Br  -2.212  8.911  3.944  0.548
H  -0.128  8.556  2.638  -0.029
C  4.217  -3.487  3.173  -1.571
Br  3.243  -4.797  4.214  0.560
Br  5.436  -4.318  1.925  0.557
Br  3.030  -2.241  2.288  0.543
H  4.818  -2.911  3.869  -0.030
C  -8.485  0.335  -5.883  -1.618
Br  -9.338  -1.399  -5.949  0.584
Br  -9.777  1.762  -5.681  0.550
Br  -7.109  0.404  -4.520  0.518
H  -7.993  0.484  -6.839  -0.025
C  3.405  -10.340  5.308  -1.598
Br  1.794  -10.555  6.358  0.565
Br  3.470  -11.583  3.827  0.570
Br  3.636  -8.511  4.719  0.492
H  4.242  -10.574  5.957  -0.028
C  9.295  -1.879  1.174  -1.616
Br  8.360  -2.075  2.856  0.546
Br  9.974  -3.570  0.530  0.584
Br  8.199  -0.991  -0.156  0.538
H  10.152  -1.239  1.358  -0.027

Calculated values
* frontier orbital gap: 6.265 eV
* net charge: +1
* HOMO energy: -10.77 eV
* E_tot: -2136322.28809 eV

Here it is:
Computed, not measured: a molecular structure, C24H24Br30FN2O2, with the ωB97M-V functional and the def2-TZVPD basis.

Each line ends with the Löwdin charge.
CARTESIAN COORDINATES (ANGSTROEM)
C  4.856  1.907  -0.535  -0.066
C  3.878  0.723  0.013  -0.219
N  3.091  1.265  1.161  0.049
C  1.733  1.448  0.889  -0.146
C  1.151  2.806  1.140  0.112
C  -0.286  3.087  0.927  0.022
C  -0.848  4.511  1.209  -0.416
O  -1.452  4.762  2.249  -0.018
O  -0.682  5.568  0.212  -0.270
C  -1.133  1.950  0.434  -0.057
C  -2.640  2.190  0.238  -0.296
C  -3.540  1.864  1.407  -0.238
C  -5.059  2.046  1.405  -0.214
C  -5.697  2.567  0.157  -0.151
C  -4.812  2.890  -0.987  -0.153
C  -3.292  2.697  -0.974  -0.022
C  -0.495  0.669  0.184  0.108
N  0.874  0.482  0.414  0.018
F  1.341  -0.760  0.173  0.038
H  5.915  1.627  -0.258  0.066
H  4.650  2.898  -0.052  0.071
H  4.835  1.967  -1.677  0.036
H  4.583  -0.088  0.369  0.101
H  3.257  0.249  -0.807  0.058
H  3.505  2.104  1.566  0.129
H  1.779  3.644  1.531  0.139
H  0.273  5.605  -0.018  0.131
H  -3.073  1.496  2.363  0.130
H  -5.605  1.791  2.353  0.124
H  -6.807  2.692  0.159  0.103
H  -5.344  3.302  -1.914  -0.077
H  -2.677  2.970  -1.866  0.119
H  -1.115  -0.186  -0.201  0.079
C  -7.189  5.173  -4.100  -1.558
Br  -7.002  4.318  -2.370  0.731
Br  -6.098  6.763  -4.238  0.597
Br  -6.844  3.933  -5.541  0.553
H  -8.224  5.488  -4.190  -0.021
C  1.404  -4.165  -1.078  -1.603
Br  3.144  -4.926  -1.445  0.574
Br  0.027  -4.944  -2.192  0.582
Br  0.955  -4.273  0.801  0.506
H  1.459  -3.111  -1.333  -0.049
C  4.950  0.304  -5.059  -1.612
Br  3.729  0.067  -3.573  0.592
Br  4.183  -0.314  -6.721  0.595
Br  5.574  2.130  -5.186  0.580
H  5.818  -0.316  -4.858  -0.024
C  -0.088  -7.836  3.117  -1.570
Br  -1.441  -6.896  2.101  0.553
Br  1.540  -8.076  2.095  0.522
Br  0.248  -6.989  4.829  0.526
H  -0.481  -8.826  3.326  -0.023
C  -4.289  -1.190  -1.213  -1.466
Br  -4.671  -2.942  -0.479  0.577
Br  -4.385  0.224  0.153  0.976
Br  -2.594  -1.163  -2.161  0.594
H  -5.064  -0.980  -1.948  -0.039
C  -1.164  8.647  2.329  -1.534
Br  -1.622  6.990  1.411  0.983
Br  -1.270  10.183  1.151  0.552
Br  -2.212  8.911  3.944  0.548
H  -0.128  8.556  2.638  -0.029
C  4.217  -3.487  3.173  -1.571
Br  3.243  -4.797  4.214  0.560
Br  5.436  -4.318  1.925  0.557
Br  3.030  -2.241  2.288  0.543
H  4.818  -2.911  3.869  -0.030
C  -8.485  0.335  -5.883  -1.618
Br  -9.338  -1.399  -5.949  0.584
Br  -9.777  1.762  -5.681  0.550
Br  -7.109  0.404  -4.520  0.518
H  -7.993  0.484  -6.839  -0.025
C  3.405  -10.340  5.308  -1.598
Br  1.794  -10.555  6.358  0.565
Br  3.470  -11.583  3.827  0.570
Br  3.636  -8.511  4.719  0.492
H  4.242  -10.574  5.957  -0.028
C  9.295  -1.879  1.174  -1.616
Br  8.360  -2.075  2.856  0.546
Br  9.974  -3.570  0.530  0.584
Br  8.199  -0.991  -0.156  0.538
H  10.152  -1.239  1.358  -0.027

Calculated values
* frontier orbital gap: 6.265 eV
* net charge: +1
* HOMO energy: -10.77 eV
* E_tot: -2136322.28809 eV